Activity:
Next, search the lines further below for the word "the" and repeat each line that has it.

Data:
Entry 1:
ORCA calculation (the ωB97M-V functional and the def2-TZVPD basis) on a molecular structure, C48H53As2CsN6O6 at a distorted geometry.

- Highest occupied orbital energy: -8.31 eV
- Total energy: -194089.65448 eV

Geometry as ORCA input:
```
! RIJCOSX wB97M-V def2-TZVPD def2/J DEFGRID3
* xyz 0 1
Cs -0.767 0.559 0.069
N -3.796 -2.452 -0.543
C 1.127 -4.108 6.602
H -3.741 -4.279 2.553
N 4.477 0.264 -1.818
C -1.616 3.066 -3.608
O -4.696 1.231 -1.769
H 0.520 -2.692 1.322
C -2.718 -0.622 3.208
C -4.055 3.519 -4.110
H 5.591 2.008 -1.345
H 2.626 2.002 0.585
C 3.179 0.612 -1.592
C 4.436 -1.772 4.402
O 2.371 -0.165 -1.098
H -4.049 4.502 -4.584
H -6.046 0.462 0.691
H 1.336 -4.806 7.404
C -4.574 5.090 3.070
C 1.831 3.420 3.555
C -1.524 2.927 2.655
H 3.080 0.451 4.566
C -3.455 -3.249 2.730
C 5.529 1.218 -2.099
C -3.033 3.644 -1.800
C 2.524 -2.013 1.805
H -3.868 4.913 0.444
C 6.188 -0.489 3.384
H -4.830 -0.207 3.316
H 0.724 -2.461 7.922
H -0.806 2.370 3.251
O -5.848 -3.268 -0.988
H 1.468 -5.549 5.044
C 5.261 -2.031 5.492
H 3.432 -2.173 4.415
C 2.499 2.087 1.657
H -7.757 0.037 0.760
C -2.169 3.586 0.555
C -0.591 2.932 -2.685
H -3.887 -2.579 -3.504
H 0.402 2.662 -3.028
As 3.840 -0.518 1.752
C 0.785 -2.793 6.892
C 0.933 -3.630 4.249
H -6.324 -1.972 -3.322
C -4.265 -1.621 -3.872
C 2.235 2.399 4.406
C -2.562 3.608 3.256
H -5.316 4.364 3.416
N -0.745 3.101 -1.369
C 1.956 3.256 2.183
H -5.925 -0.272 -3.583
H 1.637 4.042 1.508
H -5.271 2.582 -2.920
H -6.536 -1.217 0.965
H 2.143 2.513 5.480
C -4.439 -2.277 2.916
H 1.419 4.338 3.959
O -5.305 3.376 -3.483
C 0.526 -1.898 5.859
H -4.432 -1.729 -4.945
C 6.551 -1.517 5.533
As 0.137 -0.977 3.176
C 2.911 1.052 2.506
C -1.965 3.462 -0.936
H -2.683 3.579 4.334
C -2.877 3.422 -3.159
N -1.323 2.909 1.333
H 4.886 -2.632 6.313
H 0.273 -0.872 6.093
H 6.480 0.692 -2.116
H 2.881 -2.672 1.015
H -1.366 -3.668 2.612
H 8.018 -0.338 4.499
H 5.404 1.677 -3.083
H -7.518 -1.310 -1.346
C -4.386 0.097 -1.401
H 3.461 2.554 -2.345
C 7.013 -0.742 4.476
C -6.779 -0.303 0.415
H -5.928 6.368 2.487
H -5.487 -2.553 2.877
H 4.718 -0.601 -1.363
H 0.857 -1.088 0.746
O -5.136 5.972 2.112
H -3.915 2.783 -4.907
N 2.830 1.896 -1.928
H -4.015 3.886 -1.420
C -1.734 -1.580 2.997
C 1.201 -4.525 5.278
C -3.428 4.340 2.451
H -1.429 2.871 -4.658
H 2.682 -2.538 2.737
H -2.427 0.399 3.423
C -4.071 -0.964 3.156
C 2.765 1.229 3.883
C -2.116 -2.901 2.764
C -3.219 4.333 1.083
H 1.891 2.184 -1.716
H -3.477 -0.876 -3.733
H 7.192 -1.722 6.382
C -2.866 -1.413 -0.440
C -5.431 -1.000 -1.646
H -4.211 5.634 3.946
C 0.592 -2.309 4.529
C -5.555 -1.213 -3.170
C 1.026 -1.762 1.581
C -5.070 -2.337 -1.026
C 4.889 -0.996 3.333
C -6.785 -0.544 -1.090
H -3.525 -3.336 -0.138
O -1.757 -1.701 0.030
H 6.562 0.111 2.564
N -3.177 -0.157 -0.845
H -7.052 0.373 -1.614
H 0.993 -3.976 3.224
*
```

Mulliken population analysis, charges in e, atoms 1 to 99: 2.2284 0.4822 -0.5641 0.4087 -0.1581 -1.1702 -0.6997 0.5541 -0.3435 -1.0145 0.3191 0.1912 0.4743 0.2343 -0.4499 0.3921 0.1890 0.3980 -0.6391 -0.5590 -0.7434 0.2982 -1.0323 -1.0773 -0.4246 -1.2543 0.6676 -0.5880 0.4460 0.4218 0.4595 -0.7084 0.4187 -0.7359 0.2328 -0.0807 0.5399 0.2165 -0.2142 0.2851 0.3460 0.3611 -0.7659 0.3559 0.5144 -1.1428 -0.7085 -1.0336 0.3106 -0.2506 -0.4730 0.3534 0.3833 0.5084 0.1488 0.4310 -0.4407 0.4115 -0.5610 -0.7263 0.4860 -0.4677 0.2403 0.0239 0.7371 0.4959 0.4861 -0.0648 0.4415 0.3852 0.3611 0.5915 0.2185 0.3768 0.3212 0.4782 -1.1098 0.1503 -0.6622 -1.0090 0.3066 0.3895 0.3558 -0.0923 -0.5072 0.3536 -0.2323 0.4481 0.6153 -0.8799 0.3648 0.4600 0.3082 0.2363 -0.4095 0.3239 -0.2854 -0.7087 -0.0311

***

Entry 2:
ORCA calculation (the ωB97M-V functional and the def2-TZVPD basis) on 2 unconnected molecules or ions with the total composition C3H10NOS at a distorted geometry.

- Highest occupied orbital energy (alpha / beta): 3.34 / 0.11 eV
- <S²>: 0.751
- Total energy: -17643.17196 eV

Geometry as ORCA input:
```
! RIJCOSX wB97M-V def2-TZVPD def2/J DEFGRID3
* xyz -2 2
C -1.412 0.922 0.825

Written answer:
ORCA calculation (the ωB97M-V functional and the def2-TZVPD basis) on a molecular structure, C48H53As2CsN6O6 at a distorted geometry.
ORCA calculation (the ωB97M-V functional and the def2-TZVPD basis) on 2 unconnected molecules or ions with the total composition C3H10NOS at a distorted geometry.